New laboratory system allows researchers to probe secret lives of queen bees
More than a decade after the identification of colony collapse disorder, a phenomenon marked by widespread loss of honey bee colonies, scientists are still working to untangle the ecologically complex problem of how to mitigate ongoing losses of honey bees and other pollinating species. One much-needed aid in this effort is more efficient ways to track specific impacts on bee health. To address this need, a group of Illinois researchers has established a laboratory-based method for tracking the fertility of honey bee queens.

Co-first authors Julia Fine and Hagai Shpigler, both postdoctoral researchers at the University of Illinois, worked with others in the laboratory of Carl R. Woese Institute for Genomic Biology Director and Swanlund Professor of Entomology Gene Robinson to establish a laboratory set-up that would mimic the key aspects of the hive environment and allow detection of egg-laying by honey bee queens living with small groups of worker bees. The resulting system, described in PLOS One, allowed them to explore the relationship between worker nutrition and queen fertility.
“The idea that honey bee nutrition influences colony level metrics of reproduction has been demonstrated before, but here, we examined an old story using new tools,” Fine said. “We were able to get a clearer picture of how nutrition can affect the relationship between honey bee workers and queens and how this can impact the queen's egg production.”
Populations of many pollinator species have been declining in the US and worldwide. Studies of factors influencing wild and managed honey bee hives have identified four main factors influencing health: parasites, pathogens, pesticides, and poor nutrition. These factors can influence one another. For example, parasites may spread pathogens, much as fleas do on people, while poor nutrition might increase the likelihood of foraging on contaminated food sources.
Egg production is a vital aspect of honey bee colony function. Queens lay eggs that hatch into the thousands of worker bees that keep the colony running, as well as males and young queens to allow the colony to propagate. But in the dark, bustling interior of a standard hive, it is challenging to monitor egg laying or to evaluate the impacts of environmental factors.
“Egg laying occurs in the darkness of a hive occupied by thousands of workers and is therefore hard to track,” Shpigler said. “Queen egg laying was never studied outside of the colony; the biggest challenge was to give the queens the right conditions for continuous egg laying outside of natural conditions.”
To move queen productivity successfully into the lab, the researchers focused on the essentials of their natural environment. They developed a 3D-printed plastic honey comb that they refined to mimic what a queen would experience in the hive, which ensured that the cage environment could be carefully controlled and kept pesticide free. They also provided each queen with a small group of worker bees to feed and support the queen; this element became the inspiration for their first experiments with the new system.
“Honey bee queens only ingest food in the form of glandular secretions provided to them by their worker caretakers, and queens are not known to lay eggs without the support of their worker bees,” Fine said. “The more we worked in this system, the more it became apparent that the easiest way to influence the queen was to first influence the worker bees that care for her. Once we identified this strategy, designing effective experiments became easier.”
**Misplaced records of molecules**
# C2H3ClN2O

A single C2H3ClN2O molecule at a distorted geometry (the ωB97M-V functional and the def2-TZVPD basis, the OMol25 dataset).

Summary:
- Calculated total energy: -19669.4778 eV
- Frontier orbital gap: 10.5 eV
- E_LUMO: 0.011 Eh
- Molecular weight: 106.5 g mol⁻¹
- Energy relative to the best compared isomer or geometry (same formula, charge and spin): 71.31 kcal per mole
- E_HOMO: -10.172 eV

Each atom is followed by the atoms it is bonded to, with distances in Å.
Positions of all 9 atoms, in Å:
1 C -1.075 0.023 -0.091  N3 1.410, N4 1.417, O5 1.332, Cl6 1.781
2 C 1.287 -0.009 -0.091  O5 1.433, H7 1.190, H8 1.130, H9 1.217
3 N -1.424 -0.936 0.882  C1 1.410, N4 1.203
4 N -1.998 -1.049 -0.170  C1 1.417, N3 1.203
5 O 0.047 0.018 -0.808  C1 1.332, C2 1.433
6 Cl -1.883 1.600 0.085  C1 1.781
7 H 2.132 0.303 -0.868  C2 1.190
8 H 1.599 -0.944 0.462  C2 1.130
9 H 1.315 0.993 0.599  C2 1.217

* * * * *

Record 1
A 8-piece molecular cluster, C40H68N4O4 overall in a non-equilibrium geometry. Source: the Open Molecules 2025 dataset; level of theory: ωB97M-V with the def2-TZVPD basis set.

The geometry in XYZ format:
```
116
C40H68N4O4 | the Open Molecules 2025 dataset | ωB97M-V with the def2-TZVPD basis set
C 0.48455 -1.59439 -0.58336
C -1.49822 -0.97775 -7.15921
H 0.73265 6.94150 -3.82658
C -1.06246 6.40373 -2.76641
H 0.58307 -3.12103 -5.32381
H -0.86252 -6.77963 -2.21101
H -0.96033 -2.84944 -1.02632
C 4.88457 -3.01151 -0.58600
C -1.52059 4.03495 -2.56511
H -1.94939 2.28982 -0.29088
C 1.23285 4.65429 2.31276
O 0.26045 5.58642 1.88458
C 2.51084 -6.39825 -3.54260
H 1.93531 4.43429 1.50886
C 2.04038 5.10195 3.45500
H 1.08846 0.49240 0.03492
H -0.39340 0.23276 4.61327
H -1.00180 2.00563 1.16784
H -4.23221 3.47917 5.72140
H 4.41550 -3.14082 2.75813
O -0.94579 0.40444 0.00336
C 0.41040 -1.65825 -2.10549
H -3.69151 -2.99982 -5.51413
C -2.74554 -2.60460 -5.85377
C 0.31727 -0.25272 0.23028
H 1.38905 -2.10846 -0.25824
H -1.47499 -0.22297 -7.93134
H 2.94161 6.70881 4.42834
H -2.41534 2.35122 3.79134
N 3.11190 4.08179 3.89052
H 3.16669 -4.29811 -3.52519
H 2.40036 -4.64496 -1.97940
C -0.50635 5.30742 0.73003
C 3.00904 -5.07356 -2.77558
C -2.68319 2.17684 6.11178
H 0.73641 3.70816 2.52839
H -1.52199 -3.87312 -4.53519
H 1.51460 5.06591 4.40912
H 4.00100 -5.37539 -2.43940
H -3.29574 0.36694 7.19505
H -2.05972 0.23695 2.23201
H 2.58068 3.45452 4.47740
H -4.30082 2.00226 5.20663
H -3.38226 -3.62180 3.64941
C 2.79559 6.42500 3.38612
C -2.65847 0.68488 6.36988
N -4.08300 2.53194 6.03855
H -0.25061 -0.93197 -2.57843
H 0.04516 1.15960 3.20647
C -5.23431 -0.85888 3.16841
H 1.11591 -5.30423 -5.03724
H 5.36689 -4.46353 0.79302
C 0.02492 1.18796 4.29591
H 2.21959 7.21788 2.90899
H -0.59556 -5.28583 -1.37917
H -2.94767 5.52047 -2.01095
C 4.36627 -1.71691 -0.80655
C -0.24681 3.79242 -3.08447
C 3.89205 -0.96409 0.31218
H 0.45076 -0.47304 1.28940
C -1.96790 5.35974 -2.43596
H 1.04056 1.17822 4.69147
H 4.22382 -1.39903 -1.82883
H -6.23897 -0.48314 3.04243
Fine, Shpigler, and their coauthors provided each group of caged bees with honey, water, and sucrose solution, but varied the source of fat and protein: some bees were fed with a paste of honey and either a low or a high amount of floral pollen, while others were fed with bee bread, a mixture of pollen, honey, and secretions produced by worker honey bees that preserve and ferment the pollen. The researchers monitored how queen egg laying behavior was influenced by the type of diet fed to the workers caring for her.
They found that when a group of workers was fed pollen paste, the queen they attended was likely to increase her egg laying more slowly in the laboratory environment than a queen attended by bee bread-fed workers. This difference was most noticeable when the lower-percentage pollen paste was used, but persisted even in bees fed the richer pollen paste.
The results affirmed the importance of nutrition to queen productivity, as well as demonstrating the potential utility of the laboratory set-up for investigating other factors affecting queen behavior and health.
“The effect of the nutrition . . . was our first successful use of the system, giving us hope for more success in the future,” Shpigler said. “The results show very nicely how the honey bee colony functions as one body, with shared digestive and reproductive systems. The workers are the ones that eat the food and the effect is on the queen egg laying—the superorganism in action!”
“It's been exciting to see the kind of quantitative data that we can generate with this system using fewer resources relative to studies that use full size honey bee colonies,” Fine said. “Eventually, we hope that this system can be adapted as a risk assessment tool to identify other factors that positively and negatively influence honey bee reproduction . . . there is an immediate need for a laboratory system that can be used to quantitatively assess risks to honey bee queen health and reproduction.”
Between two parts of the piece: records of molecules >
~~~
Entry 1:
DFT (ωB97M-V/def2-TZVPD) results for 13 unconnected molecules or ions with the total composition C42H100Cl10O16 at a distorted geometry.

Cartesian coordinates (Å):
1 Cl 0.86 0.42 6.39
2 Cl 2.42 4.30 -2.79
3 Cl -3.94 -0.49 -2.69
4 Cl -1.88 3.90 -3.50
5 Cl 3.09 0.51 -1.64
6 Cl 2.90 -2.32 -3.42
7 Cl -4.97 1.42 -5.19
8 Cl -2.36 0.47 5.52
9 Cl -3.31 -3.61 1.45
10 Cl -6.87 -1.73 -0.43
11 O -1.21 -0.95 -1.03
12 O -4.12 2.03 2.12
13 O 0.42 -7.97 3.73
14 O -6.01 4.15 0.38
15 O 2.58 10.31 -2.59
16 O -0.01 -4.83 3.83
17 O 0.82 1.97 -5.83
18 O 0.52 7.50 -1.70
19 O 4.79 -5.80 4.22
20 O 3.52 -0.43 2.41
21 O -0.25 -0.76 -5.36
22 O -1.41 1.97 0.34
23 O 1.00 -6.10 -3.50
24 O 3.64 -4.05 1.65
25 O -0.99 -6.21 -0.92
26 O 2.65 3.02 2.06
27 C -0.04 1.93 6.40
28 C 3.55 0.81 1.71
29 C 1.79 -5.56 -2.47
30 C -1.67 -0.36 0.24
31 C -6.32 3.19 1.41
32 C -0.91 -1.83 -4.75
33 C -5.62 -2.89 -0.06
34 C -4.03 2.40 3.45
35 C -0.83 0.80 0.83
36 C 4.82 -4.74 1.87
37 C 3.15 3.75 0.94
38 C -4.71 -2.40 1.11
39 C -0.25 7.27 -0.54
40 C -0.43 1.56 -6.27
41 C -0.88 -6.82 -2.14
42 C 1.17 -6.95 4.29
43 C 2.38 11.68 -2.82
44 C -0.10 -1.82 -0.82
45 C -5.11 5.20 0.72
46 C 0.61 -9.15 4.40
47 C 0.73 3.66 -2.63
48 C 4.94 -5.47 5.57
49 C -5.36 1.88 1.48
50 C -0.36 -5.90 -3.26
51 C 2.51 -0.87 3.23
52 C 1.78 8.21 -1.56
53 C -0.92 3.16 0.94
54 C 0.13 -3.48 3.43
55 C 5.23 -4.78 3.40
56 C -5.03 1.94 -3.44
57 C 3.02 -0.71 -4.20
58 C -0.94 -7.02 0.25
59 C 3.34 -3.99 0.31
60 C -0.19 4.62 -3.44
61 C -1.19 1.85 5.35
62 C 3.43 1.98 2.61
63 C 1.76 2.54 -6.78
64 C -3.87 1.27 -2.72
65 C 1.13 -5.62 3.50
66 C 2.37 0.40 -3.36
67 C -0.99 0.47 -5.29
68 C 1.55 9.72 -1.84
69 H 4.73 -5.80 1.66
70 H 5.79 -4.86 5.86
71 H 2.36 4.46 0.69
72 H 1.29 0.27 -3.31
73 H 2.81 -1.88 3.51
74 H -6.52 3.67 2.36
75 H 1.55 10.31 -0.93
76 H 1.54 11.85 -3.50
77 H -4.32 -1.41 0.87
78 H 0.19 0.67 0.48
79 H -0.96 0.87 -4.28
80 H 0.62 2.78 6.23
81 H 1.53 -0.85 2.74
82 H -5.74 0.92 1.83
83 H -4.24 5.09 0.08
84 H -4.74 5.03 1.73
85 H 0.40 -3.30 2.39
86 H -0.65 -2.03 -3.71
87 H -7.35 2.87 1.22
88 H -0.97 -6.03 -4.16
89 H -0.93 0.74 1.91
90 H 5.61 -4.31 1.26
91 H 5.03 -6.40 6.13
92 H 2.57 1.38 -3.78
93 H 4.18 -3.61 -0.27
94 H -3.79 1.74 -1.74
95 H 2.09 -5.11 3.46
96 H 1.09 -6.89 5.38
97 H -4.48 3.37 3.70
98 H -1.51 3.93 0.45
99 H 0.23 4.73 -4.43
100 H 2.55 7.82 -2.23
101 H 1.55 3.59 -6.99
102 H -0.62 1.20 -7.29
103 H -1.59 -7.85 0.00
104 H 0.34 6.80 0.25
105 H -5.07 -3.10 -0.98
106 H -1.98 -1.14 0.94
107 H 2.74 2.48 -6.30
108 H -0.83 2.04 4.34
109 H -1.13 3.18 2.01
110 H -0.25 2.06 7.46
111 H -1.08 2.43 -6.17
112 H -1.99 -1.88 -4.73
113 H -0.31 -2.66 -1.49
114 H -1.31 -6.37 1.05
115 H -0.05 -2.18 0.21
116 H -2.06 0.38 -5.48
117 H 4.03 -0.58 -4.59
118 H -1.03 6.56 -0.83
119 H -2.94 1.49 -3.26
120 H -5.17 1.60 0.45
121 H -0.33 5.58 -2.94
122 H -2.98 2.53 3.72
123 H -0.12 -9.89 4.06
124 H -5.52 6.18 0.48
125 H -0.17 -7.65 -2.11
126 H 4.10 -4.91 5.98
127 H 1.65 -4.48 -2.61
128 H 6.30 -5.00 3.42
129 H 2.28 12.22 -1.88
130 H 5.00 -3.80 3.80
~~~
The work was supported by the Defense Advanced Research Project Agency; one coauthor also received support from LifeFoundry Inc.